Anatomy of a Badass

When I first sat down to write Devi Morris, I only knew two things about her: 1) she wore powered armor, and 2) she was a total badass. Naturally, the first factor contributed greatly to the second. I dare you to put anything in in a sleek suit of powered armor and not have it become instantly more badass! But equipment alone doesn’t a badass make. If Devi was truly going to be who I wanted her to be, she would have to be just as awesome outside of her armor as she was in it. Her badassery needed to be inherent, a natural element of her being, and before I could write that, I needed to figure out just what a badass was.
What makes someone a badass is one of those things that is instantly recognizable, but hard to actually pin down in objective description. Heroes can be badasses, but not all badasses are heroes (in fact, the badass role is often saved for the villain, whose badassery is used as a threat). And while the classic image of a badass is an aggressive dude, badass is not an inherently masculine or macho descriptor as proven by the enormous number of female badasses in film, comics, television, and literature. It’s also not limited to violence. People who survive impossible situations are also proclaimed badasses even if their feat of badassitude was to simply continue living when most wouldn’t.
Materials data that have nothing to do with the text:
____________
# 1
LiZn2SiS4 (PBE, optimized geometry); formation energy without anion corrections = -5.27 eV/f.u.; DOS(E_F) = 3.9 states/eV per cell
1.0
-0.337 -2.951 4.628
1.160 -4.570 -2.832
4.905 4.555 -0.004
S Si Zn Li
4 1 2 1
Direct
0.135 0.135 0.752 S
0.617 0.617 0.752 S
0.382 0.866 0.248 S
0.866 0.382 0.248 S
0.500 0.500 0.000 Si
0.250 0.750 0.500 Zn
0.750 0.250 0.500 Zn
0.000 0.000 0.000 Li

# 2
Li2SmS2 (PBE, optimized geometry); formation energy without anion corrections = -7.28 eV/f.u.; DOS(E_F) = 1.9 states/eV per cell
1.0
-3.411 -1.069 1.597
-0.055 -2.525 2.991
-0.669 4.691 6.510
S Li Sm
2 2 1
Direct
0.590 0.590 0.230 S
0.410 0.410 0.770 S
0.225 0.225 0.325 Li
0.775 0.775 0.675 Li
0.000 0.000 0.000 Sm

# 3
LiSm4S6 (PBE, optimized geometry); formation energy without anion corrections = -21.08 eV/f.u.; DOS(E_F) = 10.0 states/eV per cell
1.0
7.760 -0.090 0.026
-0.025 7.761 0.026
0.091 0.090 7.760
Sm S Li
8 12 2
Direct
0.250 0.635 0.135 Sm
0.135 0.750 0.635 Sm
0.365 0.135 0.250 Sm
0.250 0.250 0.750 Sm
0.865 0.250 0.365 Sm
0.635 0.865 0.750 Sm
0.750 0.365 0.865 Sm
0.750 0.750 0.250 Sm
0.812 0.584 0.560 S
0.688 0.060 0.084 S
0.084 0.312 0.060 S
0.188 0.416 0.440 S
0.060 0.916 0.312 S
0.416 0.560 0.812 S
0.584 0.440 0.188 S
0.440 0.812 0.416 S
0.916 0.688 0.940 S
0.560 0.188 0.584 S
0.312 0.940 0.916 S
0.940 0.084 0.688 S
0.000 0.000 0.000 Li
0.500 0.500 0.500 Li

# 4
LiSm4S4 (PBE, optimized geometry); formation energy without anion corrections = -15.14 eV/f.u.; DOS(E_F) = 4.6 states/eV per cell
1.0
5.191 0.000 2.081
2.548 6.217 1.158
0.282 -0.114 6.811
S Li Sm
4 1 4
Direct
0.291 0.804 0.615 S
0.094 0.616 0.196 S
0.709 0.196 0.385 S
0.906 0.384 0.804 S
0.000 0.000 0.000 Li
0.400 0.400 0.800 Sm
0.600 0.600 0.200 Sm
0.801 0.799 0.599 Sm
0.199 0.201 0.401 Sm

Question: formation energy without anion corrections of number 2 (Li2SmS2)?
Answer: -7.28 eV/f.u.

Question: Which of these has the highest formation energy without anion corrections?
Answer: LiZn2SiS4

=====

[1]
# LiInSi2O6

LiInSi2O6 after structural relaxation (PBE-GGA, Alexandria via LeMat-Bulk).

```
LiInSi2O6
1.0
4.986 -4.613 0.000
4.986 4.613 0.000
-1.938 0.000 5.102
Li In Si O
2 2 4 12
direct
0.243 0.757 0.750
0.757 0.243 0.250
0.110 0.890 0.250
0.890 0.110 0.750
0.216 0.386 0.281
0.386 0.216 0.781
0.614 0.784 0.219
0.784 0.614 0.719
0.039 0.206 0.164
0.132 0.615 0.368
0.206 0.039 0.664
0.335 0.369 0.047
0.369 0.335 0.547
0.385 0.868 0.132
0.615 0.132 0.868
0.631 0.665 0.453
0.665 0.631 0.953
0.794 0.961 0.336
0.868 0.385 0.632
0.961 0.794 0.836
```

Output
Electronic total energy ... -6.934 eV/atom
Crystal system ... monoclinic
E above lowest polymorph ... 0.0000 eV per atom
Total moment ... 0.00 μB/f.u.
Space-group type ... C2/c, No. 15
ΔE_f (raw) ... -2.410 eV/atom

[2]
# BaOs4Pb

BaOs4Pb after structural relaxation (PBE-GGA, Alexandria via LeMat-Bulk).

```
BaOs4Pb
1.0
0.000 3.894 3.894
3.894 0.000 3.894
3.894 3.894 0.000
Ba Os Pb
1 4 1
direct
0.000 0.000 0.000
0.128 0.624 0.624
____________
With all these differences, the most basic anatomy of a badass can be stripped down to three primary factors: a refusal to give up when the odds are stacked against them, a confident attitude, often aggressive attitude, and some kind of extreme proficiency in a skill. Why these? Well, the attitude part is obvious, but the rest is more interesting. See, humans love to watch people do things very well. Even the simplest, most mundane acts like stacking plastic cups can seem like magic when performed at a world class skill level. We respect talent, even if we can’t actually say how the talent is useful. Likewise, we admire people who stand on their beliefs. One of my favorite lines from Highlander is that uncompromising men are easy to admire. Even when we don’t actually agree, we admire and respect people who stand up for their ambitions/causes/beliefs/dreams and refuse to back down despite overwhelming odds.
## Inserted here: calculated crystals
- - -
No. 1
Nb2PtRh4: relaxed, PBE-GGA. Values from VASP.

The structure in Quantum ESPRESSO input format:
```
&SYSTEM
  ibrav = 0, nat = 7, ntyp = 3
/
ATOMIC_SPECIES
Rh 102.91 Rh.upf
Nb 92.91 Nb.upf
Pt 195.08 Pt.upf
CELL_PARAMETERS angstrom
5.586 0.003 -0.001
-0.005 5.611 0.005
-2.789 -2.810 3.697
ATOMIC_POSITIONS angstrom
Rh 4.145 4.128 0.114
Rh 4.228 1.322 0.417
Rh 1.359 1.322 0.414
Nb -0.002 3.189 2.115
Rh 1.433 4.128 0.115
Nb 2.794 -0.102 2.116
Pt 2.791 2.848 2.116
```

Properties
The offset from the most stable computed form is 0.0 kJ per mole of atoms. As for the energy relative to the elements: -6.991 kcal/mol of atoms. The density is 11.4 Mg/m³. The total energy is -0.6059 Ry/atom.



No. 2
NbPtRh6: relaxed, PBE-GGA. Values from VASP.

The structure in Quantum ESPRESSO input format:
```
&SYSTEM
  ibrav = 0, nat = 8, ntyp = 3
/
ATOMIC_SPECIES
Rh 102.91 Rh.upf
Pt 195.08 Pt.upf
Nb 92.91 Nb.upf
CELL_PARAMETERS angstrom
-1.901 0.892 6.412
-2.271 -5.487 4.284
1.410 -2.143 4.276
ATOMIC_POSITIONS angstrom
Rh -1.764 -5.099 9.527
Pt 0.000 0.000 0.000
Rh -0.216 -0.518 2.809
Rh -1.741 -3.467 11.674
Rh -2.547 -6.220 12.163
Rh -1.022 -3.272 3.298
Rh -0.999 -1.640 5.445
Nb -1.382 -3.369 7.486
```

Properties
As for the energy relative to the elements: -1.145 kcal/mol of atoms. The density is 12.3 Mg/m³. The total energy is -0.5569 Ry/atom.



No. 3
Nb2PtRh8: relaxed, PBE-GGA. Values from VASP.

The structure in Quantum ESPRESSO input format:
```
&SYSTEM
  ibrav = 0, nat = 11, ntyp = 3
/
ATOMIC_SPECIES
Rh 102.91 Rh.upf
Nb 92.91 Nb.upf
Pt 195.08 Pt.upf
CELL_PARAMETERS angstrom
4.018 0.000 -1.223
-0.958 5.544 -3.149
0.049 0.446 7.372
ATOMIC_POSITIONS angstrom
Rh 1.776 4.863 -1.375
Rh -0.282 1.630 -0.926
Rh 2.182 2.515 -0.042
Nb 0.153 4.061 0.502
Nb 2.955 1.930 2.499
Rh 3.390 4.361 3.926
Rh 1.332 1.128 4.376
Rh 0.926 3.476 3.042
Pt 2.009 0.000 -0.611
Rh 2.588 4.931 1.292
Rh 0.520 1.060 1.708
```

Properties
As for the energy relative to the elements: -3.827 kcal/mol of atoms. The density is 11.7 Mg/m³. The total energy is -0.5801 Ry/atom.



No. 4
Nb2PtRh4: relaxed, PBE-GGA. Values from VASP.

The structure in Quantum ESPRESSO input format:
```
&SYSTEM
  ibrav = 0, nat = 7, ntyp = 3
/
ATOMIC_SPECIES
Nb 92.91 Nb.upf
Rh 102.91 Rh.upf
Pt 195.08 Pt.upf
CELL_PARAMETERS angstrom
4.808 0.000 0.000
0.000 4.808 0.000
2.404 2.404 6.270
ATOMIC_POSITIONS angstrom
Nb 2.404 2.404 1.408
Rh 4.808 4.808 2.623
Rh 0.000 2.404 0.000
Pt 0.000 0.000 0.000
Rh 2.404 2.404 3.647
Nb 4.808 4.808 4.862
Rh 2.404 0.000 0.000
```

Properties
The offset from the most stable computed form is 114.3 kJ per mole of atoms. As for the energy relative to the elements: 20.327 kcal/mol of atoms. The density is 9.1 Mg/m³. The total energy is -0.5189 Ry/atom.



No. 5
Nb2Pt5Rh5: relaxed, PBE-GGA. Values from VASP.

The structure in Quantum ESPRESSO input format:
```
&SYSTEM
  ibrav = 0, nat = 12, ntyp = 3
/
ATOMIC_SPECIES
Pt 195.08 Pt.upf
Rh 102.91 Rh.upf
Nb 92.91 Nb.upf
CELL_PARAMETERS angstrom
- - -
Put all these factors together and you can make a badass out of anything. Take the competition cooking show Iron Chef, for example. In the show, chefs from all over the world challenge the reigning Iron Chef to a one hour extreme cooking showdown with a mystery ingredient. Naturally, since this is television, the challenge is designed to seem impossible. How many of us could cook a 5-7 course meal on the fly when every course must incorporate an ingredient we don’t even know until the challenge begins? But the chefs on this show are all kitchen badasses, and they use their years, sometimes decades of experience, creativity, and natural skill to overcome the odds and prove that their cuisine reigns supreme!
So we see that the anatomy of badass can be simple, even formulaic, and when used without thought, this can be a big problem. Think of any mediocre, forgettable action movie and you’ll see a badass that failed not because they didn’t follow the formula, but because they followed it too well. There’s nothing wrong with simplicity, but just as great art can never be achieved painting by numbers, a truly memorable, worthy badass must be far more than the sum of her parts.
Being good at something, an in your face attitude, and refusing to back down are all a good starting point, but a badass who is also a good character has to have style. She can’t just say “I’m the best,” she has to prove it over and over again against increasingly crazy odds. She can’t just take a stand, she has to put it all on the line every single time for a worthy cause she and the reader both believe in. She has to be larger than life and human at the same time, which means her problems have to be writ just as large as everything else. She has to be admirable but still rateable, else she risks being a caricature instead of a character.
This was what I learned from reading and watching my favorite badasses in action, and this was the approach I took with Devi. Now that the series is ending, and I’m looking back at everything I tried to do with it, I think creating a badass to be remembered was the one place where I truly succeeded as well as I’d hoped to. Authors aren’t supposed to have favorite characters, but I can’t help but admit that Devi is and probably will always be right up there at the top. She’s the female hero I always wanted to see in the movies, the badass lady I would have pretended to be when I was a kid, and I already miss her more than I should miss someone who is ultimately a figment of my imagination.
So for everyone who’s been waiting to see how the story ends, I really hope you enjoy HEAVEN’S QUEEN (US | UK | AUS). I put a lot of thought into creating a suitably badass ending, and I don’t think you’ll be disappointed. And for those of you who haven’t met Devi Morris yet (and who’ve been sufficiently entertains by this post long enough to get all the way down here to the end), I invite you to read a little more and check out the first chapter of FORTUNE’S PAWN (US | UK | AUS), the beginning of the Paradox series. Thank you everyone for reading and for making this series a success! I look forward to writing more Paradox novels. I can’t promise more Devi, but really, do you think I can keep her down?
Not a chance.